Material.
=====
Computed, not measured: crystalline Ho3In at its relaxed geometry at the PBE level of DFT.

- symmetry = P4/mmm
- DFT total energy (eV per cell) = -17.5

Cell lengths 4.806, 4.806, 4.832 Å; angles 90.00, 90.00, 90.00 degrees
Sites, in units of the cell vectors:
Ho: 0.000 0.000 0.000
Ho: 0.000 0.500 0.500
Ho: 0.500 0.000 0.500
In: 0.500 0.500 0.000

Computed, not measured: crystalline Ho3In5 at its relaxed geometry at the PBE level of DFT.

- symmetry = Cmcm
- DFT total energy (eV per cell) = -62.0

Cell lengths 6.347, 6.347, 10.321 Å; angles 90.00, 90.00, 78.29 degrees
Sites, in units of the cell vectors:
Ho: 0.117 0.883 0.750
Ho: 0.295 0.295 0.000
Ho: 0.295 0.295 0.500
Ho: 0.705 0.705 0.000
Ho: 0.705 0.705 0.500
Ho: 0.883 0.117 0.250
In: 0.008 0.429 0.750
In: 0.193 0.807 0.044
In: 0.193 0.807 0.456
In: 0.429 0.008 0.250
In: 0.495 0.505 0.250
In: 0.505 0.495 0.750
In: 0.571 0.992 0.750
In: 0.807 0.193 0.544
In: 0.807 0.193 0.956
In: 0.992 0.571 0.250

Computed, not measured: crystalline HoIn2 at its relaxed geometry at the PBE level of DFT.

- symmetry = Fd-3m
- DFT total energy (eV per cell) = -22.0

Cell lengths 5.963, 5.963, 5.963 Å; angles 60.00, 60.00, 60.00 degrees
Sites, in units of the cell vectors:
Ho: 0.125 0.125 0.125
Ho: 0.875 0.875 0.875
In: 0.000 0.500 0.500
In: 0.500 0.000 0.500
In: 0.500 0.500 0.000
In: 0.500 0.500 0.500

Computed, not measured: crystalline Ho4InIr at its relaxed geometry at the PBE level of DFT.

- symmetry = F-43m
- DFT total energy (eV per cell) = -133.9

Cell lengths 9.613, 9.613, 9.613 Å; angles 60.00, 60.00, 60.00 degrees
Sites, in units of the cell vectors:
Ho: 0.190 0.190 0.810
Ho: 0.190 0.810 0.190
Ho: 0.190 0.810 0.810
Ho: 0.401 0.401 0.401
Ho: 0.401 0.401 0.798
Ho: 0.401 0.798 0.401
Ho: 0.559 0.559 0.941
Ho: 0.559 0.941 0.559
Ho: 0.559 0.941 0.941
Ho: 0.798 0.401 0.401
Ho: 0.810 0.190 0.190
Ho: 0.810 0.190 0.810
Ho: 0.810 0.810 0.190
Ho: 0.941 0.559 0.559
Ho: 0.941 0.559 0.941
Ho: 0.941 0.941 0.559
In: 0.167 0.167 0.167
In: 0.167 0.167 0.498
In: 0.167 0.498 0.167
In: 0.498 0.167 0.167
Ir: 0.174 0.609 0.609
Ir: 0.609 0.174 0.609
Ir: 0.609 0.609 0.174
Ir: 0.609 0.609 0.609

=====

Material: BeCdW2
Method: DFT, GGA-PBEsol
State: relaxed

Unit cell a=2.747 b=2.747 c=7.699 alpha=90.00 beta=90.00 gamma=90.00
Space group P4/mmm (No. 123)
One atom of each set of equivalent atoms:
1 Be 0.000 0.000 0.000
2 Cd 0.000 0.000 0.500
3 W 0.500 0.500 0.201

Computed properties:
* energy above the lowest structure with this stoichiometry: 0.000 eV per atom
* crystal system: tetragonal
* raw total energy: -7.750 eV/atom

=====

Ac4ErZn5 (PBE, optimized geometry); SG = No. 123; E_form = -2.5 eV per formula unit
1.0
3.837 0.000 0.000
0.000 3.837 0.000
0.000 0.000 19.163
Ac Er Zn
4 1 5
Direct
0.000 0.000 0.811
0.000 0.000 0.603
0.000 0.000 0.397
0.000 0.000 0.189
0.000 0.000 0.000
0.500 0.500 0.500
0.500 0.500 0.294
0.500 0.500 0.922
0.500 0.500 0.706
0.500 0.500 0.078

=====

(1)
Compound: Ag2TeRu
Source: Alexandria
Functional: PBE
Structure: relaxed

Lattice parameters (Å, degrees): 7.8516 7.8516 6.1564 50.38 50.38 90.00
Fractional positions:
Ru  0.5000  0.5000  0.0000
Ru  0.2500  0.7500  0.5000
Te  0.0000  0.0000  0.0000
Te  0.7500  0.2500  0.5000
Ag  0.6155  0.1250  0.2500
Ag  0.1345  0.6250  0.2500
Ag  0.3750  0.3845  0.7500
Ag  0.8750  0.8655  0.7500

Results
Space group = I-42d
Crystal system = tetragonal

=====

(2)
Compound: Al2CdSe
Source: Alexandria
Functional: PBE
Structure: relaxed

Lattice parameters (Å, degrees): 7.9553 7.9553 7.9553 26.21 26.21 26.21
Fractional positions:
Al  0.0066  0.0066  0.0066
Al  0.2552  0.2552  0.2552
Se  0.7351  0.7351  0.7351
Cd  0.5032  0.5032  0.5032

Results
Space group = R3m
Crystal system = trigonal
Offset from the most stable computed form = 0.0000 eV per atom

=====

Number 1: uncorrected formation energy 0.582 eV per atom. Number 2: uncorrected formation energy -0.131 eV per atom.

=====
=====
To do.
The reader should start at the top of the material further up and print each line, ending with the one that has "-133.9".
Done.
Computed, not measured: crystalline Ho3In at its relaxed geometry at the PBE level of DFT.

- symmetry = P4/mmm
- DFT total energy (eV per cell) = -17.5

Cell lengths 4.806, 4.806, 4.832 Å; angles 90.00, 90.00, 90.00 degrees
Sites, in units of the cell vectors:
Ho: 0.000 0.000 0.000
Ho: 0.000 0.500 0.500
Ho: 0.500 0.000 0.500
In: 0.500 0.500 0.000

Computed, not measured: crystalline Ho3In5 at its relaxed geometry at the PBE level of DFT.

- symmetry = Cmcm
- DFT total energy (eV per cell) = -62.0

Cell lengths 6.347, 6.347, 10.321 Å; angles 90.00, 90.00, 78.29 degrees
Sites, in units of the cell vectors:
Ho: 0.117 0.883 0.750
Ho: 0.295 0.295 0.000
Ho: 0.295 0.295 0.500
Ho: 0.705 0.705 0.000
Ho: 0.705 0.705 0.500
Ho: 0.883 0.117 0.250
In: 0.008 0.429 0.750
In: 0.193 0.807 0.044
In: 0.193 0.807 0.456
In: 0.429 0.008 0.250
In: 0.495 0.505 0.250
In: 0.505 0.495 0.750
In: 0.571 0.992 0.750
In: 0.807 0.193 0.544
In: 0.807 0.193 0.956
In: 0.992 0.571 0.250

Computed, not measured: crystalline HoIn2 at its relaxed geometry at the PBE level of DFT.

- symmetry = Fd-3m
- DFT total energy (eV per cell) = -22.0

Cell lengths 5.963, 5.963, 5.963 Å; angles 60.00, 60.00, 60.00 degrees
Sites, in units of the cell vectors:
Ho: 0.125 0.125 0.125
Ho: 0.875 0.875 0.875
In: 0.000 0.500 0.500
In: 0.500 0.000 0.500
In: 0.500 0.500 0.000
In: 0.500 0.500 0.500

Computed, not measured: crystalline Ho4InIr at its relaxed geometry at the PBE level of DFT.

- symmetry = F-43m
- DFT total energy (eV per cell) = -133.9